**Brief:**
The reader should reproduce all of the contents further below character by character.

**Contents:**
+++
# Mn3CrCl2F6, relaxed, DFT PBE+U
# Mass density, g/cm³: 3.40
# Magnetization, Bohr magnetons per cell: 19.00
# SG: C2/m
# Total energy, eV for the cell shown: -71.75
data_Mn3CrCl2F6
_symmetry_space_group_name_H-M 'P 1'
_symmetry_Int_Tables_number 1
_symmetry_space_group_name_Hall 'P 1'
_cell_length_a 5.177
_cell_length_b 6.611
_cell_length_c 6.683
_cell_angle_alpha 119.64
_cell_angle_beta 81.67
_cell_angle_gamma 90.00
loop_
_atom_site_label
_atom_site_type_symbol
_atom_site_fract_x
_atom_site_fract_y
_atom_site_fract_z
F1 F 0.722 0.335 0.146
F2 F 0.722 0.812 0.146
F3 F 0.337 0.169 0.338
Cl1 Cl 0.187 0.689 0.378
Mn1 Mn 0.000 0.500 0.000
F4 F 0.663 0.831 0.662
Mn2 Mn 0.500 0.500 0.500
F5 F 0.278 0.665 0.854
Cr1 Cr 0.500 0.000 0.000
F6 F 0.278 0.188 0.854
Cl2 Cl 0.813 0.311 0.622
Mn3 Mn 0.500 0.000 0.500

~~~~~

## Sr2TaAu (GGA-PBE)

Data for crystalline Sr2TaAu at its relaxed geometry.

Cell and atoms, written as POSCAR:
```
Sr2TaAu
1.0
4.4713 0.0000 0.0000
0.0000 4.9153 -0.0009
0.0000 2.4551 5.8877
Au Sr Ta
1 2 1
Cartesian
2.2357 4.6077 4.3769
0.0000 7.0638 5.3801
2.2357 2.1484 1.8882
0.0000 4.6060 3.0718
```

Calculated values
The calculation puts the uncorrected energy at -4.286 eV per atom. Its formation enthalpy at 0 K is 337.8 meV per atom.

~~~~~

A relaxed CrClF crystal, computed with GGA+U.

Properties
Energy ... -33.1 eV/cell
Energy relative to the lowest polymorph listed for this composition ... 50 meV/atom

a = 3.8892 Å, b = 4.5939 Å, c = 6.8398 Å
α = 90.00°, β = 90.17°, γ = 90.00°
Sites, in units of the cell vectors:
Cr 0.2491 0.2500 0.2742
Cr 0.7509 0.7500 0.7258
Cl 0.2491 0.7500 0.1645
Cl 0.7509 0.2500 0.8355
F 0.2505 0.7500 0.6623
F 0.7495 0.2500 0.3377
+++

**Result:**
# Mn3CrCl2F6, relaxed, DFT PBE+U
# Mass density, g/cm³: 3.40
# Magnetization, Bohr magnetons per cell: 19.00
# SG: C2/m
# Total energy, eV for the cell shown: -71.75
data_Mn3CrCl2F6
_symmetry_space_group_name_H-M 'P 1'
_symmetry_Int_Tables_number 1
_symmetry_space_group_name_Hall 'P 1'
_cell_length_a 5.177
_cell_length_b 6.611
_cell_length_c 6.683
_cell_angle_alpha 119.64
_cell_angle_beta 81.67
_cell_angle_gamma 90.00
loop_
_atom_site_label
_atom_site_type_symbol
_atom_site_fract_x
_atom_site_fract_y
_atom_site_fract_z
F1 F 0.722 0.335 0.146
F2 F 0.722 0.812 0.146
F3 F 0.337 0.169 0.338
Cl1 Cl 0.187 0.689 0.378
Mn1 Mn 0.000 0.500 0.000
F4 F 0.663 0.831 0.662
Mn2 Mn 0.500 0.500 0.500
F5 F 0.278 0.665 0.854
Cr1 Cr 0.500 0.000 0.000
F6 F 0.278 0.188 0.854
Cl2 Cl 0.813 0.311 0.622
Mn3 Mn 0.500 0.000 0.500

~~~~~

## Sr2TaAu (GGA-PBE)

Data for crystalline Sr2TaAu at its relaxed geometry.

Cell and atoms, written as POSCAR:
```
Sr2TaAu
1.0
4.4713 0.0000 0.0000
0.0000 4.9153 -0.0009
0.0000 2.4551 5.8877
Au Sr Ta
1 2 1
Cartesian
2.2357 4.6077 4.3769
0.0000 7.0638 5.3801
2.2357 2.1484 1.8882
0.0000 4.6060 3.0718
```

Calculated values
The calculation puts the uncorrected energy at -4.286 eV per atom. Its formation enthalpy at 0 K is 337.8 meV per atom.

~~~~~

A relaxed CrClF crystal, computed with GGA+U.

Properties
Energy ... -33.1 eV/cell
Energy relative to the lowest polymorph listed for this composition ... 50 meV/atom

a = 3.8892 Å, b = 4.5939 Å, c = 6.8398 Å
α = 90.00°, β = 90.17°, γ = 90.00°
Sites, in units of the cell vectors:
Cr 0.2491 0.2500 0.2742
Cr 0.7509 0.7500 0.7258
Cl 0.2491 0.7500 0.1645
Cl 0.7509 0.2500 0.8355
F 0.2505 0.7500 0.6623
F 0.7495 0.2500 0.3377